Given.
........
(1)
# Sc2MnAl3
Computed PXRD pattern, Cu Kα (λ = 1.5418 Å). Input: DFT lattice parameters and positions (GGA-PBE).
Neutral-atom scattering factors, no anomalous dispersion.

Main lines, in order of rising 2θ (2θ from 5° to 70°):
33.50 deg, I = 527
39.87 deg, I = 1000
40.53 deg, I = 429
41.49 deg, I = 364
64.19 deg, I = 218
64.66 deg, I = 192

Structure:
Cell lengths 5.2378, 5.2378, 5.2378 Å; angles 61.43, 61.43, 61.43 degrees
Sites, in units of the cell vectors:
Sc 0.1273 0.1273 0.1273
Sc 0.8727 0.8727 0.8727
Mn 0.5000 0.5000 0.5000
Al 0.0000 0.5000 0.5000
Al 0.5000 0.0000 0.5000
Al 0.5000 0.5000 0.0000

(2)
# MnAl8Si2
Computed PXRD pattern, Cu Kα (λ = 1.5418 Å). Input: DFT lattice parameters and positions (GGA-PBE).
Neutral-atom scattering factors, no anomalous dispersion.

Main lines, in order of rising 2θ (2θ from 5° to 70°):
14.04 deg, I = 144
29.79 deg, I = 107
40.37 deg, I = 1000
45.16 deg, I = 166
46.45 deg, I = 169
49.21 deg, I = 140

Structure:
Cell lengths 7.3360, 7.3360, 7.3360 Å; angles 149.09, 119.36, 69.62 degrees
Sites, in units of the cell vectors:
Mn 0.0000 0.0000 0.0000
Al 0.0986 0.8400 0.2586
Al 0.1662 0.6662 0.5000
Al 0.2500 0.5000 0.7500
Al 0.4186 0.1600 0.2586
Al 0.5814 0.8400 0.7414
Al 0.7500 0.5000 0.2500
Al 0.8338 0.3338 0.5000
Al 0.9014 0.1600 0.7414
Si 0.3518 0.3518 0.0000
Si 0.6482 0.6482 0.0000

(3)
# Ta2Mn5AlSi2
Computed PXRD pattern, Cu Kα (λ = 1.5418 Å). Input: DFT lattice parameters and positions (GGA-PBE).
Neutral-atom scattering factors, no anomalous dispersion.

Main lines, in order of rising 2θ (2θ from 5° to 70°):
22.37 deg, I = 490
33.18 deg, I = 347
34.73 deg, I = 1000
41.70 deg, I = 876
41.92 deg, I = 796
43.20 deg, I = 376

Structure:
Cell lengths 8.8854, 8.8854, 3.3994 Å; angles 90.00, 90.00, 90.00 degrees
Sites, in units of the cell vectors:
Ta 0.1748 0.3252 0.0000
Ta 0.3252 0.8252 0.0000
Ta 0.6748 0.1748 0.0000
Ta 0.8252 0.6748 0.0000
Mn 0.0000 0.5000 0.5000
Mn 0.0644 0.7908 0.5000
Mn 0.2092 0.0644 0.5000
Mn 0.2908 0.5644 0.5000
Mn 0.4356 0.2908 0.5000
Mn 0.5000 0.0000 0.5000
Mn 0.5644 0.7092 0.5000
Mn 0.7092 0.4356 0.5000
Mn 0.7908 0.9356 0.5000
Mn 0.9356 0.2092 0.5000
Al 0.0000 0.0000 0.0000
Al 0.5000 0.5000 0.0000
Si 0.1220 0.6220 0.0000
Si 0.3780 0.1220 0.0000
Si 0.6220 0.8780 0.0000
Si 0.8780 0.3780 0.0000

(4)
# ThMnAlSi2
Computed PXRD pattern, Cu Kα (λ = 1.5418 Å). Input: DFT lattice parameters and positions (GGA-PBE).
Neutral-atom scattering factors, no anomalous dispersion.

Main lines, in order of rising 2θ (2θ from 5° to 70°):
16.25 deg, I = 352
23.78 deg, I = 916
33.36 deg, I = 797
35.88 deg, I = 1000
47.51 deg, I = 353
57.61 deg, I = 341

Structure:
Cell lengths 6.1399, 6.1399, 6.1399 Å; angles 142.14, 142.14, 54.62 degrees
Sites, in units of the cell vectors:
Th 0.0000 0.0000 0.0000
Mn 0.2500 0.7500 0.5000
Al 0.7500 0.2500 0.5000
Si 0.3871 0.3871 0.0000
Si 0.6129 0.6129 0.0000

(5)
# TaMn6Al12
Computed PXRD pattern, Cu Kα (λ = 1.5418 Å). Input: DFT lattice parameters and positions (GGA-PBE).
Neutral-atom scattering factors, no anomalous dispersion.

Main lines, in order of rising 2θ (2θ from 5° to 70°):
21.58 deg, I = 599
26.51 deg, I = 318
37.85 deg, I = 220
41.01 deg, I = 1000
46.80 deg, I = 291
57.02 deg, I = 341

Structure:
Cell lengths 7.1317, 7.1317, 7.1317 Å; angles 109.47, 109.47, 109.47 degrees
Sites, in units of the cell vectors:
Ta 0.0000 0.0000 0.0000
Mn 0.1335 0.6335 0.5000
Mn 0.3665 0.5000 0.8665
Mn 0.5000 0.1335 0.6335
Mn 0.5000 0.8665 0.3665
Mn 0.6335 0.5000 0.1335
Mn 0.8665 0.3665 0.5000
Al 0.0914 0.8157 0.2757
Al 0.1843 0.2757 0.4600
Al 0.1843 0.7243 0.9086
Al 0.2757 0.0914 0.8157
Al 0.2757 0.4600 0.1843
Al 0.4600 0.1843 0.2757
Al 0.5400 0.8157 0.7243
Al 0.7243 0.5400 0.8157
Al 0.7243 0.9086 0.1843
Al 0.8157 0.2757 0.0914
Al 0.8157 0.7243 0.5400
Al 0.9086 0.1843 0.7243

(6)
# TaMn2AlW
Computed PXRD pattern, Cu Kα (λ = 1.5418 Å). Input: DFT lattice parameters and positions (GGA-PBE).
Neutral-atom scattering factors, no anomalous dispersion.
........
Assignment.
Search the contents further above for the word "factors" and restate each line that has it, please.
Result.
Neutral-atom scattering factors, no anomalous dispersion.
Neutral-atom scattering factors, no anomalous dispersion.
Neutral-atom scattering factors, no anomalous dispersion.
Neutral-atom scattering factors, no anomalous dispersion.
Neutral-atom scattering factors, no anomalous dispersion.
Neutral-atom scattering factors, no anomalous dispersion.